One of the first challenges I ran into with PowerShell Desired State Configuration (DSC) custom resources was the security context in which the custom resources were running (System). The custom resources I was making needed to call FIM with a known security context. This seemed fair to me, as I’d expect to do the same when calling other systems such as AD or SharePoint. FIM requires a ‘Person’ object in the FIM Service for the person calling the web service endpoints. Stated another way; the FIM Service in my demo environment did not know who the System account was, so it told DSC to go away with ‘access-denied’. My workaround was to include a Credential parameter in all of my custom resources for DSC, then to use that inside my custom resources to make the FIM calls. I did not like this at all, because it meant I had to have these credentials lying around and would then have to protect and update them (boo!). This forced me to learn about how DSC protects credentials, which was quite useful but still not my favourite solution. While demonstrating this at the MVP Summit, my co-worker and DS MVP (Brian Desmond) suggested that I just create the System account in the FIM Service. I love working with smart people, too bad they get to suffer my foolishness! Anyhow, I tried Brian’s suggestion and at first it didn’t work. My first attempt was to create the Person object in FIM using the computer name and its ObjectSID from AD.

### Create a the Computer Account as a FIM Person
New-FimImportObject -State Create -ObjectType Person -Changes @{
    AccountName = (hostname)
    DisplayName = (hostname)
    Domain      = 'Redmond'
    ObjectSID   = (Get-ObjectSid -AccountName (hostname))
} -ApplyNow

This didn’t work, but looking at the error in the event log gave me a clue. The error details were: GetCurrentUserFromSecurityIdentifier: No such user NT AUTHORITY\SYSTEM, S-1-5-18 Looking at the ObjectSID and account details, it was not using the specific computer but instead the well-known name and ObjectSID. The error suggested what FIM was looking for so I tried this:

What comes next are calculated crystals, not part of the piece =
____________
Record 1
# LiAlAs2
Computed powder XRD pattern, copper Kα. Input: a DFT-relaxed cell (PBE, the Materials Project).
Kinematic intensities with the Lorentz-polarization factor, no thermal factor.

Most intense lines, 2θ = 10–90°, sorted by position:
2θ (°), I_rel
20.27, 32
24.97, 53
30.28, 100
30.44, 15
39.14, 14
40.70, 27
47.43, 28
50.54, 14

Structure:
```
LiAlAs2
1.0
-3.954 5.662 7.131
3.954 -5.662 7.131
3.954 5.662 -7.131
Li Al As
8 8 16
Direct
0.037 0.153 0.388
0.235 0.347 0.384
0.265 0.649 0.112
0.463 0.851 0.116
0.537 0.149 0.884
0.735 0.351 0.888
0.765 0.653 0.616
0.963 0.847 0.612
0.051 0.520 0.275
0.245 0.020 0.969
0.255 0.224 0.775
0.449 0.724 0.469
0.551 0.276 0.531
0.745 0.776 0.225
0.755 0.980 0.031
0.949 0.480 0.725
0.000 0.000 0.000
0.000 0.500 0.500
0.002 0.252 0.750
0.174 0.750 0.924
0.250 0.402 0.152
0.250 0.902 0.652
0.326 0.250 0.576
0.498 0.248 0.250
0.500 0.000 0.500
0.500 0.500 0.000
0.502 0.752 0.750
0.674 0.750 0.424
0.750 0.098 0.348
0.750 0.598 0.848
0.826 0.250 0.076
0.998 0.748 0.250
```

Record 2
# LiAlAsO4
Computed powder XRD pattern, copper Kα. Input: a DFT-relaxed cell (PBE, the Materials Project).
Kinematic intensities with the Lorentz-polarization factor, no thermal factor.

Most intense lines, 2θ = 10–90°, sorted by position:
2θ (°), I_rel
21.59, 100
34.33, 57
37.42, 14
44.18, 19
54.45, 16
54.93, 11
58.94, 18
66.40, 14

Structure:
```
LiAlAsO4
1.0
4.727 0.000 0.000
0.000 4.727 0.000
0.000 0.000 8.373
Li Al As O
2 2 2 8
Direct
0.000 0.000 0.000
0.500 0.500 0.500
0.000 0.000 0.500
0.500 0.500 0.000
0.000 0.500 0.750
0.500 0.000 0.250
0.194 0.254 0.615
0.246 0.694 0.885
0.254 0.806 0.385
0.306 0.246 0.115
0.694 0.754 0.115
0.746 0.194 0.385
0.754 0.306 0.885
0.806 0.746 0.615
```

----------

Entry 1:
The following is a calculated powder diffraction line list of Dy2H4S3O12. It was derived from a crystal structure in OQMD, relaxed with PBE, using Cu Kα (weighted mean of Kα1 and Kα2).
Intensities are scaled so that the largest is 100.

Most intense lines, 10 to 90 degrees two-theta, low angle first:
14.40 deg, intensity 66.8; 15.74 deg, intensity 100.0; 18.83 deg, intensity 38.0; 19.84 deg, intensity 32.5; 22.29 deg, intensity 36.8; 26.51 deg, intensity 39.6; 27.21 deg, intensity 43.7; 30.98 deg, intensity 56.1; 31.34 deg, intensity 75.3; 31.83 deg, intensity 33.8

Structural model:
```
data_Dy2H4S3O12
_symmetry_space_group_name_H-M 'P 1'
_symmetry_Int_Tables_number 1
_symmetry_space_group_name_Hall 'P 1'
_cell_length_a 6.6838
_cell_length_b 6.6838
_cell_length_c 12.6259
_cell_angle_alpha 101.16
_cell_angle_beta 101.16
_cell_angle_gamma 60.40
loop_
_atom_site_label
_atom_site_type_symbol
_atom_site_fract_x
_atom_site_fract_y
_atom_site_fract_z
Dy1 Dy 0.1812 0.2113 0.1749
Dy2 Dy 0.2113 0.1812 0.6749
Dy3 Dy 0.7887 0.8188 0.3251
Dy4 Dy 0.8188 0.7887 0.8251
H1 H 0.0512 0.8405 0.5824
H2 H 0.1595 0.9488 0.9176
H3 H 0.2944 0.6760 0.6408
H4 H 0.3240 0.7056 0.8592
H5 H 0.6760 0.2944 0.1408
H6 H 0.7056 0.3240 0.3592
____________
Here the piece continues =

### Create a the NT AUTHORITY\SYSTEM as a FIM Person
New-FimImportObject -State Create -ObjectType Person -Changes @{
    AccountName = 'SYSTEM'
    DisplayName = 'SYSTEM'
    Domain      = 'NT AUTHORITY'
    ObjectSID   = (Get-ObjectSid -AccountName 'NT AUTHORITY\SYSTEM')
} -ApplyNow

It worked! Now I can rip the credentials out of my custom DSC resources but I might leave them in and make them optional since I’ve already done most of the work.